== Work order ==
Count the lines further down that contain the word "and" and give the number alone.

== Data ==
/*
Entry from Materials Project: a geometry-optimized Na2Ti4Nb4Si7S5O48 structure (PBE).

Summary:
corrected total energy (MP2020 scheme)	-1696.157	eV for the cell shown
space group	P1, No. 1
formation enthalpy at 0 K	-2.780	eV per atom
total energy	-532.410	eV/f.u.

Cell and atoms, written as POSCAR:
```
Na2Ti4Nb4Si7S5O48
1.0
-5.592 16.242 -4.035
-2.895 -6.928 -4.606
-17.446 -2.233 14.471
O S Ti Si Na Nb
144 15 12 21 6 12
direct
0.483 0.790 0.804
0.586 0.194 0.409
0.583 0.973 0.192
0.912 0.794 0.303
0.903 0.836 0.902
0.824 0.151 0.425
0.603 0.173 0.089
0.011 0.817 0.697
0.259 0.833 0.474
0.180 0.853 0.857
0.323 0.494 0.924
0.435 0.361 0.921
0.101 0.176 0.092
0.848 0.173 0.025
0.417 0.311 0.244
0.934 0.361 0.921
0.249 0.866 0.359
0.487 0.170 0.593
0.583 0.189 0.694
0.983 0.792 0.803
0.730 0.303 0.029
0.925 0.819 0.595
0.343 0.533 0.243
0.602 0.028 0.593
0.408 0.844 0.905
0.753 0.646 0.575
0.151 0.480 0.761
0.420 0.533 0.745
0.075 0.697 0.470
0.179 0.872 0.576
0.679 0.873 0.577
0.656 0.830 0.261
0.346 0.157 0.743
0.091 0.024 0.308
0.899 0.822 0.196
0.848 0.537 0.243
0.728 0.158 0.531
0.594 0.026 0.307
0.911 0.029 0.802
0.818 0.139 0.140
0.511 0.818 0.698
0.077 0.692 0.759
0.679 0.854 0.857
0.564 0.487 0.863
0.912 0.524 0.024
0.425 0.030 0.090
0.744 0.360 0.136
0.912 0.297 0.525
0.321 0.151 0.424
0.739 0.176 0.242
0.820 0.502 0.641
0.421 0.809 0.598
0.070 0.627 0.072
0.409 0.788 0.303
0.064 0.490 0.863
0.483 0.164 0.307
0.744 0.129 0.637
0.227 0.157 0.530
0.082 0.187 0.408
0.251 0.643 0.575
0.907 0.971 0.405
0.228 0.299 0.030
0.920 0.306 0.245
0.576 0.453 0.969
0.081 0.186 0.693
0.685 0.508 0.358
0.435 0.506 0.422
0.763 0.835 0.474
0.243 0.364 0.136
0.075 0.453 0.969
0.411 0.028 0.803
0.988 0.165 0.591
0.757 0.361 0.425
0.264 0.692 0.973
0.395 0.819 0.197
0.653 0.470 0.474
0.577 0.691 0.758
0.749 0.631 0.859
0.761 0.689 0.974
0.769 0.842 0.757
0.411 0.299 0.525
0.511 0.819 0.409
0.987 0.804 0.092
0.151 0.467 0.474
0.100 0.027 0.592
0.257 0.151 0.923
0.426 0.498 0.140
0.568 0.628 0.071
0.064 0.641 0.363
0.562 0.634 0.363
0.426 0.356 0.641
0.489 0.818 0.091
0.589 0.483 0.262
0.319 0.136 0.141
0.251 0.636 0.859
0.011 0.202 0.907
0.652 0.479 0.763
0.920 0.534 0.745
0.152 0.833 0.973
0.512 0.199 0.909
0.926 0.354 0.641
0.771 0.697 0.255
0.093 0.162 0.807
0.348 0.173 0.025
0.011 0.205 0.198
0.570 0.514 0.573
0.576 0.694 0.470
0.082 0.975 0.194
0.077 0.463 0.259
0.413 0.527 0.025
0.582 0.976 0.908
0.085 0.972 0.906
0.935 0.509 0.421
0.512 0.189 0.192
0.846 0.157 0.743
0.927 0.497 0.141
0.592 0.158 0.808
0.269 0.842 0.756
0.739 0.305 0.744
0.983 0.176 0.304
0.069 0.510 0.573
0.348 0.523 0.525
0.851 0.526 0.526
0.243 0.129 0.637
0.237 0.174 0.244
0.897 0.973 0.696
0.755 0.149 0.923
0.012 0.824 0.410
0.318 0.497 0.640
0.822 0.492 0.924
0.253 0.862 0.075
0.151 0.823 0.263
0.680 0.488 0.075
0.268 0.696 0.257
0.178 0.486 0.074
0.239 0.305 0.743
0.749 0.862 0.358
0.397 0.973 0.697
0.751 0.860 0.075
*/

== Completed ==
1